An experience
for travelers
For a safe trip.
Minimizing risks is everyone’s responsibility.
Latitud Tenerife is not an experience for everybody. As our slogan says “An experience for travellers” it is about a route recommended only for those who are used to practise hiking and to be surrounded by nature.
The experience is mainly focused for hikers of a medium and advanced level (never basic). Children are not allowed. The minimum age in order to participate is 16 years old. Underaged people must always be accompanied by an adult and under his / her responsibility. For security reasons we do not recommend the activity to lone hikers. The activity is highly recommended to couples, families and groups.
We have a solid commitment with security and sustainability. For this reason it is essential to advise you that in nature there is no zero risk, although we can take all the necessary measures to minimize it.
Avoiding risks as much as possible is everyone’s duty. Our duty and your duty.
From Latitud Tenerife, we have taken into account all the foreseeable risks concerning the activity. After analyzing it, we have spent a lot of time on applying all the factors that minimize risks so you can enjoy Latitud Tenerife as safe as possible.
Our planning has 3 main essential lines:
- The choice of the best possible route.
- Improving and implementing this experience with our professional guarantee, through our Pack Latitud Tenerife assistance.
- The selection of all practical advices you to face your experience security and confidence.
Latitud Tenerife will take whole responsibility of the participants hiring our services as advertised on our website. Latitud Tenerife is not a source of information for those who want to do the activity without hiring our professional services. If so, those individuals will take full responsibility on their own actions.
If you decide to hire our services, next, you can find our advices in order to safely plan your experience.

The route choice
Safety and sustainability
The best route choice has not been an easy task. We have spent several months working on it, being advised by great mountaineers and hiking experts about Tenerife paths. The final decision has been based on security and sustainability criteria.
We have discarded the fastest route in favor of the safest one and most environmentally-friendly. For this reason, most of the track goes by well preserved and conditioned paths, promoted by the Natural Protected Areas that they belong to.
This way, we reduce the dangers that hiking entails when practised in bad-conditioned paths and traffic roads. Even though, we must mention that some roads must be crossed through in order to go from one path to another.
With our selection, we avoid to walk over some environmental fragile areas in our aim to create a tourism product that respects the integrity of our territory.
Practical advices when hiking

Previous preparation
As we have explained, Latitud Tenerife is not an easy walk, so it will not be risk free. We only recommend the activity for those who are used to hike in the nature. Common sense should not take our focus away from the fact that this activity demands a certain physical conditions, therefore, a good previous physical condition is necessary. Hiking or riding during so many kilometers is very demanding.
Physical condition is one of the most important aspects if we want to successfully do the route. Not only for ending it, but also to enjoy it and remember it as one the most rewarding experiences of our lifes.
A bad preparation, due to improvisation, may cause the abandonment of the activity, or even worse, we could suffer while doing the experience. Without doubt, the best way to get ready is to walk or ride a bicycle on the previous days, in similar conditions to those in the experience.
Season of the year
365 for your adventure
The climate conditions in the island allows Latitud Tenerife to be experienced at any time of the year. Anyway, winter season (December, January and February) and summer season (July and August) are the least recommended ones, due to weather issues. Some winters, Volcano Teide could be covered by snow, so climbing will not be possible. In those cases, an alternative route will be offered at the Teide National Park.

'''
(1)
Density functional theory data (GGA-PBE) for crystalline KSi2Cl at its relaxed geometry.

E_form (uncorrected)	0.6707	eV/atom
crystal system	trigonal
DFT total energy	-33.322	eV for the cell shown

Structure (CIF):
```
data_KSi2Cl
_chemical_formula_sum 'K3 Si6 Cl3'
_space_group_name_H-M_alt 'P 1'
_space_group_IT_number 1
_space_group_name_Hall 'P 1'
_cell_length_a 3.2503
_cell_length_b 3.2503
_cell_length_c 29.4977
_cell_angle_alpha 90.00
_cell_angle_beta 90.00
_cell_angle_gamma 120.00
loop_
_atom_site_label
_atom_site_fract_x
_atom_site_fract_y
_atom_site_fract_z
K1 0.0000 0.0000 0.0000
K2 0.3333 0.6667 0.6667
K3 0.6667 0.3333 0.3333
Si1 0.0000 0.0000 0.2369
Si2 0.0000 0.0000 0.7631
Si3 0.3333 0.6667 0.4298
Si4 0.3333 0.6667 0.9035
Si5 0.6667 0.3333 0.0965
Si6 0.6667 0.3333 0.5702
Cl1 0.0000 0.0000 0.5000
Cl2 0.3333 0.6667 0.1667
Cl3 0.6667 0.3333 0.8333
```


(2)
Density functional theory data (GGA-PBE) for crystalline SrInTcMo2 at its relaxed geometry.

crystal system	tetragonal
DFT total energy	-24.495	eV for the cell shown
ΔH_f (0 K)	2.39	eV per atom

Structure (CIF):
```
data_SrInTcMo2
_chemical_formula_sum 'Sr1 In1 Tc1 Mo2'
_space_group_name_H-M_alt 'P 1'
_space_group_IT_number 1
_space_group_name_Hall 'P 1'
_cell_length_a 5.0507
_cell_length_b 5.0507
_cell_length_c 5.6196
_cell_angle_alpha 90.00
_cell_angle_beta 90.00
_cell_angle_gamma 90.00
loop_
_atom_site_label
_atom_site_fract_x
_atom_site_fract_y
_atom_site_fract_z
Sr1 0.0000 0.0000 0.0000
In1 0.0000 0.0000 0.5000
Tc1 0.5000 0.5000 0.0000
Mo1 0.0000 0.5000 0.5000
Mo2 0.5000 0.0000 0.5000
```


# KRb2V | Alexandria via LeMat-Bulk | PBE | optimized geometry
# Fermi-level density of states   2.432 states/eV per atom
# Energy of formation   4.04 eV per formula unit
# Offset from the most stable computed form   102 meV per atom
# Uncorrected energy   -2.03 eV per atom
# Total magnetic moment   4.857 μB/f.u.
data_KRb2V
_chemical_formula_sum 'K4 Rb8 V4'
_cell_length_a 5.766
_cell_length_b 5.766
_cell_length_c 27.898
_cell_angle_alpha 90.00
_cell_angle_beta 90.00
_cell_angle_gamma 90.00
_symmetry_space_group_name_H-M 'I -4 2 d'
_symmetry_Int_Tables_number 122
_symmetry_space_group_name_Hall 'I -4 2bw'
loop_
_atom_site_label
_atom_site_type_symbol
_atom_site_fract_x
_atom_site_fract_y
_atom_site_fract_z
K1 K 0.000 0.000 0.000
Rb1 Rb 0.229 0.250 0.625
V1 V 0.000 0.000 0.500
'''

Dangers of roads
We have minimized the crossroads or walking over roads. Even though, there are some of them that we cannot avoid. We have to be very careful when crossing or walking over roads.
If you are going to do the walking option, take into account the bag’s weight and exhaustion slows the reactions down. In addition, we must always walk over the left side of the road in order to see the cars coming, and walking as far from the road as possible. We recommend to use a reflective vest to be seen easily by drivers.
Anyway, we reaffirm that the route goes through very few traffic roads.
Walking at night
We should avoid it. The stages were designed to be completed during day time, so we have to start walking soon in the morning and keep a good walking rate. In case we have to walk at night, you will have to carry a flashlight and reflective vest so you can be seen by others.

Eating and hydration
The body’s energy consumption is much larger during the activity than in an average day in our lifes, so we need to compensate this unbalance. We recommend to start the day with a good breakfast, to eat energetic food during the stage, and to do another big meal at the end of the day, once the stage is over and we are rested. Water will be our best friend. Only some stages go through towns where we can get water and food, that is why we recommend to start each stage with the amount of water and food required to complete the stage.
Essential in your bag
A first-aid-kit for hiking should include: scissors, needle, thread, pliers, bandage, gauzes, surgical tape, gloves, stitches, thermal blanket, whistle, band-aid, saline, vaseline, anti sting, ibuprofen, painkillers, anti inflammatory lotion, urbason, betadine, sun cream and glucose.